Working from home?

I don't want to work from home. Yes, I have social anxiety disorder and I'm an introvert who is "assaulted" daily by normal office life. But when I work from home: I don't ever leave the house, it's hard to concentrate on work when the bed, the tv, the refrigerator, chores, etc. are calling. Plus I miss out on what's going on at the office that might pertain to my job. But I do appreciate that my employer now lets me work from home when I'm not feeling well.


I feel that my SA has been getting a bit more intense ever since I've stopped working a normal 9-5 job. I now work from home and feel that I have lost confidence due to staying in all the time. Now when I go out, I suffer from SA a lot more... :cry:
I feel that my SA has been getting a bit more intense ever since I've stopped working a normal 9-5 job. I now work from home and feel that I have lost confidence due to staying in all the time. Now when I go out, I suffer from SA a lot more... :cry:

Yeah exactly, plus I don't feel guilty goofing off on company time when I'm working at the office :).


Well-known member
Working from home is my ultimate dream. What work do you do, if I may ask? If I worked from home, I would find other ways of social interaction; joining a gym etc.. since I definitely agree that staying home all day can't be good.

Misplaced records of crystals.
********
No. 1
# IrO2 | the Materials Project database | PBE | optimized geometry
data_IrO2
_cell_length_a 5.623
_cell_length_b 5.623
_cell_length_c 5.623
_cell_angle_alpha 139.14
_cell_angle_beta 139.14
_cell_angle_gamma 59.16
_symmetry_space_group_name_H-M 'P 1'
_symmetry_Int_Tables_number 1
loop_
_symmetry_equiv_pos_as_xyz
'x,y,z'
loop_
_atom_site_label
_atom_site_fract_x
_atom_site_fract_y
_atom_site_fract_z
Ir1 0.375 0.625 0.750
Ir2 0.625 0.375 0.250
O1 0.165 0.415 0.750
O2 0.415 0.165 0.250
O3 0.585 0.835 0.750
O4 0.835 0.585 0.250
# Formation energy: -998 meV per atom
# Electronic total energy: -40.71 eV per cell

---

No. 2
# IrO2 | the Materials Project database | PBE | optimized geometry
data_IrO2
_cell_length_a 4.545
_cell_length_b 4.545
_cell_length_c 3.190
_cell_angle_alpha 90.00
_cell_angle_beta 90.00
_cell_angle_gamma 90.00
_symmetry_space_group_name_H-M 'P 1'
_symmetry_Int_Tables_number 1
loop_
_symmetry_equiv_pos_as_xyz
'x,y,z'
loop_
_atom_site_label
_atom_site_fract_x
_atom_site_fract_y
_atom_site_fract_z
Ir1 0.000 0.000 0.000
Ir2 0.500 0.500 0.500
O1 0.192 0.192 0.500
O2 0.308 0.692 0.000
O3 0.692 0.308 0.000
O4 0.808 0.808 0.500
# Formation energy: -1261 meV per atom
# Electronic total energy: -42.29 eV per cell

---

No. 3
# IrO2 | the Materials Project database | PBE | optimized geometry
data_IrO2
_cell_length_a 4.943
_cell_length_b 4.943
_cell_length_c 4.943
_cell_angle_alpha 90.00
_cell_angle_beta 90.00
_cell_angle_gamma 90.00
_symmetry_space_group_name_H-M 'P 1'
_symmetry_Int_Tables_number 1
loop_
_symmetry_equiv_pos_as_xyz
'x,y,z'
loop_
_atom_site_label
_atom_site_fract_x
_atom_site_fract_y
_atom_site_fract_z
Ir1 0.000 0.000 0.000
Ir2 0.000 0.500 0.500
Ir3 0.500 0.000 0.500
Ir4 0.500 0.500 0.000
O1 0.152 0.652 0.848
O2 0.152 0.848 0.348
O3 0.348 0.152 0.848
O4 0.348 0.348 0.348
O5 0.652 0.652 0.652
O6 0.652 0.848 0.152
O7 0.848 0.152 0.652
O8 0.848 0.348 0.152
# Formation energy: -1165 meV per atom
# Electronic total energy: -83.42 eV per cell

----------

1.
The following is a DFT calculation (r²SCAN) of AgSbF6 after structural relaxation.

a = 8.385 Å, b = 8.385 Å, c = 8.385 Å
α = 109.47°, β = 109.47°, γ = 109.47°
Atoms (fractional coordinates):
F (0.031, 0.584, 0.323)
F (0.738, 0.915, 0.947)
F (0.415, 0.677, 0.969)
F (0.469, 0.792, 0.553)
F (0.085, 0.053, 0.261)
F (0.708, 0.177, 0.761)
F (0.323, 0.031, 0.584)
F (0.208, 0.447, 0.531)
F (0.447, 0.531, 0.208)
F (0.585, 0.323, 0.031)
F (0.531, 0.208, 0.447)
F (0.823, 0.238, 0.292)
F (0.292, 0.823, 0.239)
F (0.915, 0.947, 0.739)
F (0.947, 0.739, 0.915)
F (0.262, 0.085, 0.053)
F (0.053, 0.261, 0.085)
F (0.761, 0.708, 0.177)
F (0.969, 0.416, 0.677)
F (0.177, 0.762, 0.708)
F (0.239, 0.292, 0.823)
F (0.553, 0.469, 0.792)
F (0.792, 0.553, 0.469)
F (0.677, 0.969, 0.416)
Sb (0.000, 0.500, 0.500)
Sb (0.500, 0.500, 0.000)
Sb (0.000, 0.000, 0.000)
Sb (0.500, 0.000, 0.500)
Ag (0.000, 0.500, 0.000)
Ag (0.500, 0.000, 0.000)
Ag (0.000, 0.000, 0.500)
Ag (0.500, 0.500, 0.500)

Output
********


Argamemnon said:
Working from home is my ultimate dream. What work do you do, if I may ask? If I worked from home, I would find other ways of social interaction; joining a gym etc.. since I definitely agree that staying home all day can't be good.

If this was meant for me...

I work in Real Estate and Loans. I do go out on occasion and show homes but recently that has also had it's toll on me. I also do go to the gym but not farely as often as I should.

Yes working from home is a dream job!
Yes working from home is a dream job!

Inserted here: calculated crystals
- - -
(1)
This record from the Materials Project database describes crystalline K4Co7O14 at its relaxed geometry. The functional is GGA+U.

Unit cell a=7.8453 b=7.8453 c=12.6992 alpha=90.00 beta=90.00 gamma=120.00
Atoms (fractional coordinates):
K 0.4206 0.9722 0.7500
K 0.0278 0.4484 0.7500
K 0.5794 0.0278 0.2500
K 0.5516 0.5794 0.7500
K 0.4484 0.4206 0.2500
K 0.0000 0.0000 0.7500
K 0.9722 0.5516 0.2500
K 0.0000 0.0000 0.2500
Co 0.2835 0.4293 0.5059
Co 0.7165 0.5707 0.0059
Co 0.5707 0.8542 0.5059
Co 0.1458 0.7165 0.5059
Co 0.4293 0.1458 0.0059
Co 0.8542 0.2835 0.4941
Co 0.1458 0.7165 0.9941
Co 0.0000 0.0000 0.0000
Co 0.5707 0.8542 0.9941
Co 0.7165 0.5707 0.4941
Co 0.2835 0.4293 0.9941
Co 0.8542 0.2835 0.0059
Co 0.0000 0.0000 0.5000
Co 0.4293 0.1458 0.4941
O 0.6667 0.3333 0.0953
O 0.3699 0.9011 0.0763
O 0.6301 0.0989 0.9237
O 0.3333 0.6667 0.9047
O 0.9011 0.5312 0.5763
O 0.6667 0.3333 0.4047
O 0.0429 0.2199 0.9186
O 0.3699 0.9011 0.4237
O 0.5312 0.6301 0.4237
O 0.7801 0.8229 0.9186
O 0.1771 0.9571 0.9186
O 0.2199 0.1771 0.0814
O 0.4688 0.3699 0.5763
O 0.4688 0.3699 0.9237
O 0.0989 0.4688 0.4237
O 0.5312 0.6301 0.0763
O 0.2199 0.1771 0.4186
O 0.1771 0.9571 0.5814
O 0.8229 0.0429 0.0814
O 0.7801 0.8229 0.5814
O 0.0989 0.4688 0.0763
O 0.9571 0.7801 0.4186
O 0.9571 0.7801 0.0814
O 0.0429 0.2199 0.5814
O 0.8229 0.0429 0.4186
O 0.6301 0.0989 0.5763
O 0.3333 0.6667 0.5953
O 0.9011 0.5312 0.9237

Formation energy from the elements   -1.3416 eV per atom

***

(2)
This record from the Materials Project database describes crystalline FeC2O6 at its relaxed geometry. The functional is GGA+U.

Unit cell a=4.7851 b=22.6236 c=4.7866 alpha=83.99 beta=60.01 gamma=83.92
Atoms (fractional coordinates):
Fe 0.1250 0.6249 0.1247
Fe 0.3750 0.8746 0.3756
Fe 0.6248 0.1254 0.6248
Fe 0.8751 0.3751 0.8750
C 0.9410 0.1764 0.9414
C 0.1913 0.4262 0.1916
C 0.4413 0.6760 0.4413
C 0.6913 0.9259 0.6919
C 0.3086 0.0742 0.3083
C 0.5589 0.3240 0.5584
C 0.8089 0.5738 0.8082
C 0.0589 0.8235 0.0589
O 0.5563 0.0737 0.3471
O 0.8067 0.3235 0.5971
O 0.0565 0.5733 0.8471
O 0.3068 0.8231 0.0974
O 0.9022 0.1769 0.2273
O 0.1526 0.4267 0.4774
O 0.4026 0.6765 0.7271
O 0.6524 0.9263 0.9778
O 0.2269 0.1769 0.6938
O 0.4772 0.4266 0.9439
O 0.7271 0.6765 0.1937
O 0.9771 0.9263 0.4444
O 0.0227 0.0737 0.5558
O 0.2730 0.3235 0.8062
O 0.5229 0.5733 0.0558
O 0.7731 0.8231 0.3066
O 0.3474 0.0737 0.0225
O 0.5975 0.3235 0.2726
O 0.8477 0.5733 0.5223
O 0.0974 0.8231 0.7731
O 0.6933 0.1770 0.9026
O 0.9435 0.4267 0.1528
O 0.1935 0.6765 0.4026
O 0.4435 0.9263 0.6531

Energy above the most stable polymorph in this dataset   0 meV/atom
Formation energy from the elements   -1.5846 eV per atom

***

(3)
This record from the Materials Project database describes crystalline Ba2CoReO6 at its relaxed geometry. The functional is GGA+U.

Unit cell a=8.1897 b=10.0330 c=8.1953 alpha=114.05 beta=89.95 gamma=65.94
Atoms (fractional coordinates):
Ba 0.3754 0.7496 0.1250
Ba 0.8756 0.7496 0.6252
Ba 0.6254 0.2497 0.3753
- - -

Actually my dream job would be a Forest Ranger, where I could get paid to walk / exercise in the woods. Or a travel writer or National Geographic photographer. But as a programmer, my dream job would supply me with my own office, with it's own window (to the outside world ) and it's own door (to shut out office noise). Or maybe I could program from the beach with a wifi laptop. Except when I'd go swimming someone would probably steal the laptop hehe.


Well-known member
I think working from home can be a bit of a catch 22 situation for people with social phobia. I have a 9-5 mon-fri job and yes sometimes I get annoyed and frustrated with people and situations and think it would be great working from home. But I know if I did this then my social phobia would get worse and I wouldn't really leave the house except to go the gym and shopping, so it looks like I'm stuck with the old 9-5 grind for now


Well-known member
as we're on the topic I just got fired from my job and was wondering weither anyone new of any jobs from home minimum qualification oppotunities even though as some of you have said it isn't good for anxiety I don't mind I'd way prefer it.If anyone knows of any agencies or jobs with this in mind it would be a great help thanks .oli


As long as you get out of the house everyday, working from home is better for people like us, in my opinion. We don't have to go home and "recharge" like we do with regular 9-5 jobs, because with home jobs there isn't anything to "recharge" from. Working from home just removes stress that comes from a regular job. I'm training to work as a medical transcriptionist from my computer. I feel lit'll give me back the energy I lose from having a regular job.



Active member
I agree. Working from home is the way to go. It may require a lot of self-discipline to actually go out and have a life, but at least in this scenario, you're the one who's in control. You control the amount of social interaction; you decide what challenges can and can't be faced that day; and as has already been said, you don't have to "recharge" from from a 9-5 job rife with social interaction.

I don't work from home, but that's certainly the dream. Anybody ever heard of ?
Well, for the last week I've tried working half a day at the office and half a day from home. It's pretty cool, I have the best of both worlds. I have face time, define projects, show results, etc at the office. Then I have "quiet" time at home to actually work and think. This may be the ideal situation. I dreaded 8 hours at the office, but 4 hours is a breeze. Plus commuting time is reduced (because it's not rush hour) and I get to eat a decent lunch in peace.